Data >
____________
Record 1
ORCA calculation (wB97M-V/def2-TZVPD) on an isolated ion of composition C20H24N3O4 and charge +1.

```
51
Properties=species:S:1:pos:R:3
C -3.877 -3.102 -4.173
H -3.181 -3.778 -4.666
H -4.109 -3.484 -3.173
H -4.797 -3.045 -4.758
O -3.235 -1.841 -4.120
C -3.996 -0.806 -3.530
C -3.659 -0.734 -2.032
N -2.182 -0.807 -1.944
C -1.537 0.475 -2.044
N -2.099 1.542 -2.508
C -1.156 2.535 -2.368
C -1.222 3.881 -2.704
C -0.111 4.653 -2.442
C 1.038 4.111 -1.860
C 1.122 2.776 -1.520
C 0.010 1.992 -1.781
N -0.261 0.650 -1.583
C 0.633 -0.342 -1.032
H 1.609 0.121 -0.913
C 0.104 -0.919 0.285
O -1.026 -1.431 0.271
C 0.903 -0.885 1.479
C 2.134 -0.222 1.594
C 2.864 -0.209 2.771
C 2.355 -0.903 3.905
C 1.125 -1.559 3.786
C 0.412 -1.552 2.614
H -0.533 -2.067 2.549
H 0.722 -2.087 4.635
O 3.080 -0.892 5.033
C 2.612 -1.563 6.186
H 3.377 -1.400 6.943
H 2.502 -2.636 6.007
H 1.664 -1.145 6.534
O 4.015 0.488 2.691
C 4.894 0.649 3.790
H 5.295 -0.307 4.130
H 5.705 1.266 3.407
H 4.409 1.162 4.622
H 2.574 0.328 0.780
H 0.740 -1.179 -1.736
H 2.017 2.375 -1.070
H 1.883 4.755 -1.672
H -0.123 5.703 -2.689
H -2.112 4.290 -3.152
H -1.938 -1.417 -2.755
H -1.806 -1.233 -1.004
H -4.016 0.199 -1.599
H -4.078 -1.583 -1.490
H -5.067 -0.949 -3.687
H -3.681 0.125 -4.008
```

Max |F| (eV Å⁻¹): 0.8
2S+1: 1
LUMO (hartree): -0.123
Energy relative to the best compared isomer or geometry (same formula, charge and spin) (eV): 0.000
SMILES: COCC[NH2+]c1nc2ccccc2n1CC(=O)c1ccc(OC)c(OC)c1
Orbital gap (Ha): 0.28321
Total energy (Ha): -1241.4963
Net charge: +1
E_HOMO (eV): -11.0550

Atomic partial charges in e from the natural (NBO) method, atoms 1 to 2: C -0.256; H 0.210

Record 2
ORCA calculation (wB97M-V/def2-TZVPD) on a 2-piece molecular cluster, C6H14O overall.

```
21
Properties=species:S:1:pos:R:3
C 0.299 -2.312 -0.245
C 0.968 -1.609 -1.499
C 1.678 -0.284 -1.236
C 0.894 0.657 -0.343
C -0.268 1.190 -0.688
C -1.033 2.182 0.114
H 0.821 -3.189 0.101
H -0.753 -2.461 -0.478
H 0.257 -1.525 0.512
H 0.114 -1.469 -2.167
H 1.562 -2.362 -1.987
H 1.919 0.182 -2.187
H 2.625 -0.492 -0.734
H 1.330 0.846 0.633
H -0.644 0.935 -1.678
H -1.071 3.213 -0.234
H -0.623 2.226 1.099
H -2.078 1.891 0.265
H -2.168 0.054 3.772
H -2.116 1.424 3.145
O -1.712 0.901 3.834
```

Max |F| (eV Å⁻¹): 2.2
2S+1: 1
LUMO (hartree): 0.030
Energy relative to the best compared isomer or geometry (same formula, charge and spin) (eV): 1.308
SMILES: C/C=C/CCC.O
Orbital gap (Ha): 0.37235
Total energy (Ha): -312.2070
Net charge: 0
E_HOMO (eV): -9.3039

Atomic partial charges in e from the natural (NBO) method, atoms 1 to 2: C -0.620; C -0.387

Record 3
ORCA calculation (wB97M-V/def2-TZVPD) on C9H52O29S3Tl as an isolated structure.

```
94
Properties=species:S:1:pos:R:3
Tl 0.687 -1.636 2.184
S -1.410 0.996 1.798
O -0.374 0.889 0.713
O -2.778 0.946 1.149
O -1.412 -0.173 2.695
O -1.199 2.177 2.635
S 3.215 -5.061 2.863
O 3.036 -4.106 1.502
O 2.964 -4.323 4.091
O 1.990 -5.808 2.440
O 4.614 -5.613 2.713
S 3.845 -1.730 1.093
O 2.782 -1.657 0.138
O 4.206 -3.394 1.282
O 5.189 -1.428 0.560
O 3.576 -1.166 2.400
C 4.797 4.575 0.321
C 4.347 4.280 -1.124
C 3.542 3.013 -1.287
O 3.731 5.433 -1.664
H 5.622 5.248 0.286
H 5.072 3.641 0.833
H 3.970 4.859 0.962
H 5.259 4.118 -1.737
H 2.716 3.096 -0.570
H 4.030 2.094 -1.040
H 3.111 2.950 -2.264
H 2.900 5.459 -1.166
C 1.107 -1.241 -4.646
C -0.081 -1.583 -3.673
C 0.285 -1.806 -2.205
O -1.120 -0.565 -3.939
H 1.858 -2.056 -4.535
H 1.541 -0.306 -4.319
H 0.669 -1.227 -5.645
H -0.484 -2.496 -4.037
H 1.102 -2.514 -2.196
H -0.569 -2.204 -1.677
H 0.651 -0.895 -1.707
H -1.068 0.003 -3.146
C -5.035 -3.062 -0.540
C -5.185 -1.599 -0.841
C -5.863 -1.321 -2.231
O -6.134 -0.968 0.043
H -4.454 -3.655 -1.348
H -6.053 -3.516 -0.339
H -4.450 -3.198 0.395
H -4.219 -1.155 -0.860
H -6.938 -1.656 -2.274
H -5.203 -1.800 -2.935
H -5.951 -0.266 -2.378
H -5.594 -0.811 0.818
O -2.376 5.708 -5.232
H -2.124 4.783 -5.427
H -2.527 5.594 -4.307
O 6.124 -4.934 -0.591
H 6.158 -4.817 0.357
H 5.383 -4.340 -0.868
____________

Assignment >
Next, start at the top of the material further up and echo each line, ending with the one that has "1.122 2.776".

Worked solution >
Record 1
ORCA calculation (wB97M-V/def2-TZVPD) on an isolated ion of composition C20H24N3O4 and charge +1.

```
51
Properties=species:S:1:pos:R:3
C -3.877 -3.102 -4.173
H -3.181 -3.778 -4.666
H -4.109 -3.484 -3.173
H -4.797 -3.045 -4.758
O -3.235 -1.841 -4.120
C -3.996 -0.806 -3.530
C -3.659 -0.734 -2.032
N -2.182 -0.807 -1.944
C -1.537 0.475 -2.044
N -2.099 1.542 -2.508
C -1.156 2.535 -2.368
C -1.222 3.881 -2.704
C -0.111 4.653 -2.442
C 1.038 4.111 -1.860
C 1.122 2.776 -1.520